Ellie's Story


Written by: ASN



Time to read 4 min

Ellie's Story

In 2017, 1,809 new cases of brain cancer were diagnosed in Australia, one of which being close to home within our own purple ASN family.

At only 18 years of age, Ellie received news of her brain tumour diagnosis and embarked on a life-changing journey to regain her health again with the support of the Mark Hughes Foundation.

From treatment options, surgery, her road to recovery and life after brain cancer, we were honoured to chat with Ellie about her brain tumour journey and her desire to give back and support those facing their own battles with brain cancer.

Ellie’s Walk

From the 29th of June to the 1st of July, Ellie will be taking part in The Big Three Trek, a 150km walk from Sydney to Newcastle to raise money for the Mark Hughes Foundation. To date, this incredible foundation has raised over 24 million dollars and has funded multiple grants and research projects around Australia to support families and those who have been impacted by brain cancer.

With research, better outcomes are possible for those experiencing brain cancer. Click here to support Ellie on her 150km trek and donate to the Mark Hughes Foundation!

- - -
Entry from the OMol25 dataset: C28H33BrMnN4OSSe as an isolated structure (ωB97M-V with the def2-TZVPD basis set).

For the max |F|, the calculation gives 0.003 Eh/bohr. The orbital gap (alpha / beta) comes out at 0.2620 / 0.2627 Eh. Its energy relative to the best compared isomer or geometry (same formula, charge and spin) is 0.00 kcal per mole. The LUMO energy (alpha / beta) comes out at -0.13 / -0.20 eV. As for the expectation value of S²: 1.2327.

Structure (ORCA input):
```
! RIJCOSX wB97M-V def2-TZVPD def2/J DEFGRID3
* xyz 0 2
Mn 0.6310 0.7137 1.9175
C 0.2951 -1.0864 -5.5314
C 1.4992 -0.3372 -4.9443
C 1.4750 1.0974 -5.4709
C 2.7943 -1.0054 -5.4252
C 1.4368 -0.3838 -3.4192
C 1.3735 0.7528 -2.6261
C 1.3250 0.5988 -1.2545
Br 1.1744 2.1584 -0.1604
C 1.3372 -0.6227 -0.5627
O 1.3001 -0.6634 0.7483
C 1.3888 -1.7821 -1.3771
C 1.4364 -1.6103 -2.7561
C 1.3723 -3.2305 -0.8537
C 1.3337 -3.3810 0.6708
C 0.1266 -3.9375 -1.4122
C 2.6312 -3.9580 -1.3507
H 0.3073 -1.0274 -6.6223
H -0.6409 -0.6523 -5.1742
H 0.3041 -2.1412 -5.2532
H 1.5275 1.0866 -6.5610
H 2.3249 1.6753 -5.1031
H 0.5570 1.6160 -5.1870
H 2.8415 -1.0002 -6.5169
H 2.8583 -2.0417 -5.0909
H 3.6673 -0.4751 -5.0407
H 1.3589 1.7469 -3.0494
H 1.4726 -2.5052 -3.3659
H 0.4411 -2.9366 1.1075
H 2.1947 -2.9186 1.1488
H 1.3390 -4.4498 0.9031
H -0.7809 -3.4204 -1.0921
H 0.0830 -4.9640 -1.0409
H 0.1268 -3.9739 -2.5026
H 3.5295 -3.4752 -0.9617
H 2.7007 -3.9718 -2.4388
H 2.6233 -4.9937 -1.0029
C 0.1148 0.0914 6.6588
N -0.9541 0.2260 5.6834
C -2.1565 0.8730 5.8875
C -2.7999 0.9047 4.7087
N -1.9758 0.2753 3.7840
C -0.8196 -0.1162 4.3901
S 0.5125 -0.8817 3.6818
C -2.3203 0.1187 2.4178
C -3.5932 -0.3409 2.1235
C -3.9673 -0.4418 0.7955
C -3.0531 -0.0951 -0.1819
C -1.7971 0.3350 0.2070
N -1.4260 0.4527 1.4877
H -0.2438 0.4725 7.6110
H 0.9762 0.6691 6.3266
H 0.3998 -0.9528 6.7602
H -2.4358 1.2683 6.8468
H -3.7442 1.3345 4.4301
H -4.2575 -0.6277 2.9259
H -4.9537 -0.8007 0.5338
H -3.2896 -0.1627 -1.2337
H -1.0498 0.5895 -0.5316
Se 0.6119 2.5702 3.5026
C -0.2775 3.9548 2.5301
C 0.4172 4.8469 1.7187
C -0.2865 5.8062 1.0064
N -1.6106 5.9457 1.0472
C -2.2686 5.1003 1.8387
C -1.6600 4.1068 2.5890
H 1.4959 4.7938 1.6443
H 0.2457 6.5020 0.3659
H -3.3465 5.2254 1.8759
H -2.2532 3.4563 3.2204
*
```

Now the Löwdin charges, all in e:
1 Mn 0.04
2 C -0.05
3 C -0.56
4 C -0.07
5 C -0.05
6 C -0.18
7 C -0.08
8 C -0.53
9 Br 0.97
10 C -0.39
11 O -0.28
12 C -0.07
13 C 0.00
14 C -0.53
15 C -0.07
16 C -0.05
17 C -0.05
18 H 0.08
19 H 0.09
20 H 0.08
21 H 0.08
22 H 0.09
23 H 0.09
24 H 0.08
25 H 0.08
26 H 0.09
27 H 0.10
28 H 0.10
29 H 0.07
30 H 0.09
31 H 0.08
32 H 0.09
33 H 0.08
34 H 0.07
35 H 0.09
36 H 0.07
37 H 0.08
38 C -0.02
39 N -0.12
40 C -0.03
41 C -0.04
42 N -0.01
43 C -0.74
44 S 0.73
45 C -0.24
46 C 0.01
47 C -0.04
48 C -0.02
49 C -0.08
50 N 0.08
51 H 0.09
52 H 0.09
53 H 0.09
54 H 0.13
55 H 0.13
56 H 0.12
57 H 0.12
58 H 0.12
59 H 0.08
60 Se 0.67
61 C -0.66
62 C -0.17
63 C -0.16
64 N 0.04
65 C -0.17
66 C -0.13
67 H 0.09
68 H 0.10
- - -
-- The page goes on --

Our chat with Ellie

What was your experience like during your Brain Tumor diagnosis in 2017?

I was only 18 years old at the time of my diagnosis, and at the time, it was a massive shock to both myself and my family. I was very overwhelmed and scared because I didn't really understand everything that was going on because I hadn't heard of many brain tumours before. We just followed the directions given to us by my specialist at the time, and it all felt very rushed.

How did you choose to share your diagnosis with friends and family at the time?

At the time of diagnosis, I only told my close friends and family over the phone. I wanted to keep it quiet until I had time to wrap my own head around it all, as it was such a shock.

What treatment options were available to you at the time? And how did you decide what treatment option was best for you?

My only option was surgery, as they needed a biopsy of the tumour first to see if it was benign or cancerous. Lucky for me, it ended up being benign.

How did you cope with the emotional aspect of your cancer journey?

Emotionally it was difficult as I was so young. I was scared of the surgery I was about to have as it was an extensive surgery, and I was really overwhelmed with the news of the diagnosis. I am generally a really strong and resilient person, so I got through it all and felt it made me stronger and more resilient in the end.

What was the most challenging part of your recovery?

So I actually unexpectedly woke up completely blind after my surgery. I wasn't aware of this risk and was on high doses of pain relief, so I couldn't exactly understand what was going on. I was completely blind for three days, and then my eyesight started coming back but only partially in my left eye. So the most challenging part was definitely adjusting to the loss of my vision. After surgery, I felt unbalanced and wobbly for a few weeks, and I would run into objects. It just took time to adjust.

### Next to the piece, the page also holds records of molecules
+++
{"formula": "C28H63Cl2N8O10", "method": "ωB97M-V/def2-TZVPD", "elements": ["C", "C", "O", "O", "H", "H", "H", "C", "C", "O", "N", "C", "H", "H", "H", "H", "H", "H", "H", "C", "C", "O", "N", "C", "H", "H", "H", "H", "H", "H", "H", "C", "C", "O", "N", "C", "H", "H", "H", "H", "H", "H", "H", "C", "C", "O", "N", "C", "H", "H", "H", "H", "H", "H", "H", "C", "C", "O", "N", "C", "H", "H", "H", "H", "H", "H", "H", "C", "C", "O", "N", "C", "H", "H", "H", "H", "H", "H", "H", "C", "C", "O", "N", "C", "H", "H", "H", "H", "H", "H", "H", "C", "C", "O", "N", "C", "H", "H", "H", "H", "H", "H", "H", "Cl", "C", "C", "Cl", "H", "H", "H", "H"], "xyz": [[0.06746, -1.27082, -0.03035], [-0.04054, 0.18395, -0.39778], [-0.47713, 0.44352, -1.54888], [0.36499, 1.05575, 0.43826], [0.90836, -1.75474, -0.52715], [-0.82397, -1.85016, -0.27079], [0.22448, -1.40582, 1.03980], [5.98520, 5.45970, 5.64623], [4.94795, 5.74795, 4.53528], [3.94535, 6.39016, 4.84354], [5.12534, 5.29925, 3.30120], [4.20847, 5.23358, 2.16439], [6.66033, 6.29494, 5.83249], [6.59074, 4.60127, 5.35550], [5.56003, 5.12382, 6.59202], [6.01692, 4.98148, 2.94877], [4.31210, 6.12441, 1.54489], [3.18823, 5.01918, 2.48256], [4.62695, 4.42711, 1.56223], [-4.30292, 2.71235, 1.29780], [-3.98935, 3.74167, 2.31999], [-4.90979, 4.14461, 3.06669], [-2.70081, 4.12587, 2.34695], [-2.13202, 5.11167, 3.25292], [-4.08707, 1.74697, 1.75558], [-3.86253, 2.79665, 0.30430], [-5.37846, 2.86080, 1.20162], [-2.05270, 3.67944, 1.71389], [-1.39522, 5.66106, 2.66691], [-1.59552, 4.64420, 4.07860], [-2.92624, 5.70755, 3.70266], [-1.65040, -5.59278, 3.21307], [-1.86428, -5.96211, 1.74606], [-1.02803, -6.59029, 1.05971], [-3.03899, -5.57078, 1.26883], [-3.52863, -6.01094, -0.05393], [-2.62111, -5.74771, 3.68404], [-1.45597, -4.52046, 3.19217], [-0.85444, -6.19037, 3.65740], [-3.62264, -4.93440, 1.79273], [-3.38502, -7.08223, -0.19471], [-2.96860, -5.50045, -0.83742], [-4.57696, -5.71280, -0.06901], [-2.70599, 2.92484, -6.76481], [-2.02846, 1.96276, -7.68525], [-2.14570, 2.00810, -8.89083], [-1.24829, 1.10666, -7.11817], [-0.39103, 0.10528, -7.79631], [-3.76705, 2.68327, -6.82712], [-2.52520, 3.95873, -7.05890], [-2.39970, 2.80793, -5.72528], [-1.22452, 1.10376, -6.10846], [0.05165, 0.51063, -8.70616], [-0.88621, -0.84268, -8.00673], [0.40377, -0.14697, -7.09434], [-0.79715, 0.45421, 5.74839], [0.60938, 0.02826, 5.94138], [0.97781, -0.67679, 6.92984], [1.36469, 0.50070, 4.92032], [2.79000, 0.22171, 4.88891], [-1.11016, 0.06959, 4.77773], [-0.98929, 1.52694, 5.76912], [-1.37738, 0.06696, 6.58593], [0.91271, 0.97376, 4.15088], [3.32095, 0.65998, 5.73395], [3.24704, 0.55034, 3.95552], [2.93056, -0.84977, 5.03130], [2.54620, 3.57272, -5.03963], [1.79614, 4.80398, -4.72976], [1.91140, 5.83531, -5.44916], [1.13579, 4.90363, -3.59137], [0.41999, 5.99647, -2.98244], [2.31893, 2.70047, -4.42674], [3.59033, 3.85422, -4.90313], [2.40294, 3.27927, -6.07956], [1.02403, 4.01851, -3.11789], [0.78885, 6.13708, -1.96643], [-0.64583, 5.76848, -2.99461], [0.54951, 6.94069, -3.51137], [-8.18748, 0.04548, -3.11651], [-7.81303, -1.38091, -3.51265], [-8.66222, -2.21471, -3.80323], [-6.57209, -1.79922, -3.51149], [-5.31755, -0.98135, -3.35620], [-7.37246, 0.55370, -2.60120], [-9.06175, -0.02833, -2.46973], [-8.40959, 0.61388, -4.01966], [-6.45003, -2.78322, -3.70370], [-5.21837, -0.77812, -2.28991], [-5.32888, -0.03671, -3.89994], [-4.52854, -1.60514, -3.77623], [4.70395, -4.98557, 3.16237], [5.97390, -4.50339, 3.83797], [6.62176, -3.68563, 3.20359], [6.33780, -4.95427, 5.04413], [7.54289, -4.73234, 5.69069], [4.22414, -4.32916, 2.43641], [3.95650, -5.21648, 3.92139], [4.85398, -5.91406, 2.61147], [5.60852, -5.51147, 5.46576], [7.99753, -5.69697, 5.91628], [7.25499, -4.26097, 6.63039], [8.18588, -4.14822, 5.03231], [1.10538, -7.76116, -5.23754], [0.81012, -6.81651, -3.78771], [0.82273, -5.30826, -4.11955], [2.46787, -4.90106, -4.69299], [1.55900, -7.02808, -3.02448], [-0.14793, -7.18465, -3.42068], [0.60495, -4.72792, -3.22296], [0.12376, -5.08027, -4.92425]], "forces_ev_per_angstrom": [[0.00, -1.02, 0.88], [0.31, 2.03, -0.37], [-0.10, -0.31, 0.13], [-0.36, -0.95, -0.17], [0.06, 0.13, -0.21], [-0.13, 0.15, -0.33], [0.13, 0.15, 0.12], [0.52, -0.93, -1.02], [-1.17, 1.41, 2.33], [0.13, -0.39, -0.24], [1.32, -1.15, -1.85], [0.38, 0.21, 0.31], [-0.23, 0.12, -0.11], [0.35, 0.05, -0.20], [-0.60, 0.50, -0.23], [0.22, -0.05, 1.11], [-0.54, 0.22, 0.14], [0.13, 0.19, -0.17], [-0.55, -0.19, -0.08], [-1.07, -0.23, -0.26], [-1.05, 0.72, 0.90], [1.99, -0.17, -0.80], [0.20, 0.37, 0.48], [0.04, -0.49, -0.08], [-0.08, -0.17, -0.31], [0.42, 0.06, 0.28], [-0.06, -0.60, -0.23], [-0.22, -0.08, 0.00], [-0.22, 0.48, 0.28], [0.03, -0.18, 0.06], [0.11, 0.18, -0.39], [-0.45, 0.02, -1.08], [2.50, -1.34, -0.17], [-1.54, 0.90, 1.10], [-1.32, -0.14, -1.22], [0.43, 0.81, 0.71], [0.24, -0.04, 0.48], [0.34, 0.00, 0.47], [-0.13, 0.30, -0.06], [0.19, -0.30, 0.00], [-0.15, 0.07, 0.22], [-0.13, 0.02, -0.11], [0.04, -0.27, -0.37], [-0.55, 0.08, 0.50], [-0.71, 1.81, -1.31], [-0.52, 0.27, -1.28], [2.52, -3.13, 2.01], [-0.14, 0.45, 0.63], [-0.13, 0.36, 0.03], [-0.11, -0.17, -0.18], [0.02, 0.00, 0.01], [0.17, -0.10, -0.18], [-0.25, 0.06, 0.09], [-0.38, 0.22, -0.19], [0.09, 0.16, -0.06], [-1.25, -0.19, 0.68], [0.59, -0.66, 1.64], [-0.28, 1.88, -2.83], [1.09, -0.50, 0.80], [0.08, -0.41, 0.10], [-0.45, -0.04, 0.13], [0.50, 0.12, -0.19], [-0.19, -0.32, -0.35], [0.16, -0.11, 0.13], [-0.15, 0.38, -0.01], [-0.21, -0.06, 0.07], [0.09, -0.10, -0.31], [0.27, -0.92, -0.24], [0.34, 4.28, -1.94], [-0.06, -1.94, 0.60], [-0.56, -1.93, 1.52], [-0.04, 0.46, -0.40], [-0.04, 0.15, 0.21], [0.09, -0.23, -0.07], [0.02, 0.24, 0.00], [-0.05, 0.08, 0.29], [-0.21, -0.07, 0.06], [-0.04, 0.06, 0.28], [0.25, -0.29, -0.23], [0.65, -0.48, -0.14], [-1.99, -0.24, -0.05], [-1.06, 0.27, 0.03], [3.65, 0.95, -0.02], [-1.35, -0.94, 0.16], [-0.08, 0.01, 0.09], [0.05, 0.13, -0.19], [-0.20, -0.03, 0.05], [-0.17, 0.21, -0.12], [0.64, 0.03, -0.12], [-0.28, -0.14, -0.09], [0.19, 0.26, 0.42
+++
### The piece goes on

How did you come across the Mark Hughes Foundation, and how did it support you throughout your journey to recovery?

I came across Mark Hughes Foundation when I was in the hospital. One of the MHF brain care nurses approached me with one of their beanies and introduced herself, and talked to me about how they could support me. The MHF nurse would turn up to postoperative appointments with me and also booked my MRIs to check the growth of the tumour.

How different would your experience have been without the MHF?

So much different. They really supported me when I needed it the most and provided me with so much information, which helped me understand what I was going through at the time. They made things easier for myself and my family by helping book appointments and supporting us.

It's incredible that you have committed to a 150km walk with MHF after your brain cancer diagnosis. What was getting back into exercise like for you once you had completed treatment?

After surgery, I gained a fair bit of weight from the steroids I took to reduce brain swelling. Before surgery, I was a really active person playing netball and going to the gym. After surgery, I couldn't return to netball because of my loss of eyesight. I returned to the gym slowly, and I took my time getting back into it. I eventually gained my fitness back and lost the weight I had put on.

How are you preparing yourself for your 150km trek?

I have been going on a 10km walk each week plus lots of other smaller walks to get my body used to it, but I am generally a pretty fit person and go on regular walks.

How has your health and wellness changed since your diagnosis in 2017?

The tumour impacted my hormones, so I am now on some medication to balance them out. Other than that, my health is great as I take care of it with healthy eating and exercising regularly.

Where are you currently in your recovery journey?

They only got half of the tumour, so now we just monitor the remaining tumour, and I get regular MRIs. It has now been five years, and I have had no growth. Fingers crossed, it will never change.

Do you have any words of wisdom to share with anyone who may be going through a cancer diagnosis?

Looking back on my experience, I would say just to be positive and to live your life to the fullest despite the circumstances you may be in. It's easy to forget to appreciate the little things in life.

If you or someone you know needs support with their brain cancer diagnosis, there are several support options available here.